
Quickly snapping her cell phone shut, Rachel smiled warmly at the driver as he opened the door of the town car for her. "Thanks so much Brad. I'll need you tomorrow at 10 okay? I've got to go into work a little early." she instructed politely.

"No problem Miss Bishop. I'll be here." Brad said, closing the rear door softly and making his way back around to the driver's side.

"Have a good night." Rachel replied with a wave as she turned and walked into her building, grinning at the doorman as he held the door open.

"Miss Rachel...always a pleasure." the elderly man stated, sweeping the door open with a grand gesture.

"How was your day Hank?"

"Pleasant. Oh, by the way...you have a couple guests waiting for you upstairs." The older man winked slyly as Rachel shot him a sideways glance.

These data records were left in the entry by mistake >
/*
Entry 1:
The following is a calculated PXRD pattern of HfO2. It was derived from a crystal structure in the Materials Project, relaxed with GGA-PBE, using Cu Kα (λ = 1.5418 Å).
Peak positions follow from Bragg's law for the DFT cell and can differ from measured ones.

Atomic structure:
Cell lengths 4.8703, 5.8259, 16.0365 Å; angles 90.00, 90.00, 90.00 degrees
Fractional positions:
Hf  0.0000  0.0221  0.2500
Hf  0.0000  0.9779  0.7500
Hf  0.0028  0.3465  0.0841
Hf  0.0028  0.6535  0.5841
Hf  0.4972  0.1535  0.5841
Hf  0.4972  0.8465  0.0841
Hf  0.5000  0.4779  0.7500
Hf  0.5000  0.5221  0.2500
Hf  0.5028  0.1535  0.9159
Hf  0.5028  0.8465  0.4159
Hf  0.9972  0.3465  0.4159
Hf  0.9972  0.6535  0.9159
O  0.1999  0.3686  0.5308
O  0.1999  0.6314  0.0308
O  0.2074  0.0673  0.3633
O  0.2074  0.9327  0.8633
O  0.2194  0.3092  0.1962
O  0.2194  0.6908  0.6962
O  0.2806  0.1908  0.6962
O  0.2806  0.8092  0.1962
O  0.2926  0.4327  0.8633
O  0.2926  0.5673  0.3633
O  0.3001  0.1314  0.0308
O  0.3001  0.8686  0.5308
O  0.6999  0.1314  0.4692
O  0.6999  0.8686  0.9692
O  0.7074  0.4327  0.6367
O  0.7074  0.5673  0.1367
O  0.7194  0.1908  0.8038
O  0.7194  0.8092  0.3038
O  0.7806  0.3092  0.3038
O  0.7806  0.6908  0.8038
O  0.7926  0.0673  0.1367
O  0.7926  0.9327  0.6367
O  0.8001  0.3686  0.9692
O  0.8001  0.6314  0.4692

The 10 most intense peaks (15 to 90 degrees two-theta), by intensity:
2θ 26.31, I 100; 2θ 32.75, I 68; 2θ 29.16, I 66; 2θ 51.81, I 50; 2θ 24.46, I 48; 2θ 33.53, I 40; 2θ 36.92, I 38; 2θ 35.08, I 34; 2θ 50.72, I 34; 2θ 50.61, I 31

***

Entry 2:
The following is a calculated PXRD pattern of Cr2CuS4. It was derived from a crystal structure in the Materials Project, relaxed with GGA-PBE, using Cu Kα (λ = 1.5418 Å).
Peak positions follow from Bragg's law for the DFT cell and can differ from measured ones.

Atomic structure:
Cell lengths 10.7579, 3.4268, 12.2376 Å; angles 90.00, 90.00, 90.00 degrees
Fractional positions:
Cr  0.0468  0.2500  0.1241
Cr  0.1025  0.2500  0.5869
Cr  0.3975  0.7500  0.0869
Cr  0.4532  0.7500  0.6241
Cr  0.5468  0.2500  0.3759
Cr  0.6025  0.2500  0.9131
Cr  0.8975  0.7500  0.4131
Cr  0.9532  0.7500  0.8759
Cu  0.2352  0.7500  0.8390
Cu  0.2648  0.2500  0.3389
Cu  0.7352  0.7500  0.6610
Cu  0.7648  0.2500  0.1610
S  0.0713  0.7500  0.7148
S  0.0950  0.2500  0.9371
S  0.1167  0.7500  0.4495
S  0.1866  0.7500  0.1636
S  0.3134  0.2500  0.6636
S  0.3833  0.2500  0.9495
S  0.4050  0.7500  0.4371
S  0.4287  0.2500  0.2148
S  0.5713  0.7500  0.7852
S  0.5950  0.2500  0.5629
S  0.6167  0.7500  0.0505
S  0.6866  0.7500  0.3364
S  0.8134  0.2500  0.8364
S  0.8833  0.2500  0.5505
S  0.9050  0.7500  0.0629
S  0.9287  0.2500  0.2852

The 10 most intense peaks (15 to 90 degrees two-theta), by intensity:
2θ 42.71, I 100; 2θ 28.86, I 93; 2θ 35.21, I 91; 2θ 37.02, I 62; 2θ 53.48, I 57; 2θ 31.05, I 56; 2θ 43.41, I 53; 2θ 29.19, I 50; 2θ 48.47, I 48; 2θ 52.59, I 47

***

Entry 3:
*/
So much for the data records >

"My stalkers?" she teased, raising an eyebrow.

"If you've given your stalker a key, then you're not as smart as I thought." Hank joked with a smile in return.

"Point taken. I suppose I should get upstairs then before my stalker walks out with my belongings. I'll have to remember to get that key from him." Rachel laughed, tossing her head back slightly. "Good night Hank, see ya tomorrow."

"G'night Miss Rachel."

Making her way into the elevator and up to the 10th floor where she lived, Rachel paused momentarily outside the door in order to dig through her messy bag for her keys. Just as she jiggled them out of the tangle of hairties and cds at the bottom of her purse, the door opened and a dark haired man leaned casually against the door frame.

"Hey blondie."

"Stuff it Steve." Rachel replied nonchalantly as she brushed past him through the doorway and into the living room of the spacious apartment.

"Hey." Joey offered distractedly from his position on the overstuffed couch.

"Did you get my message?" Rachel asked, dropping her bag on the bar in between the living room and the kitchen as she made her way to the refridgerator.


"Sooo...let me guess. You're seeing how long you can go speaking only in one word answers. That's why I get more of a greeting out of your brother than I do out of you?" the blonde woman asked, slightly irritated at Joey's lack of enthusiasm.

Joey peeked over the couch and was met with a slight frown and piercing blue eyes as Rachel gazed at him from the kitchen. "I'm tired."

Rolling her eyes, she walked through the living room and down the hall to the master bedroom. "2 words Joe, wow, hooked on phonics really DID work for you."

Steve, who was now sitting on the couch held in a laugh as he glanced at his brother. "I see who wears the pants in this relationship." he shrugged, his eyes shifting back to the game playing on the big screen TV.

• The entry is interrupted by calculated crystals:
<<<
No. 1
# CrCuPd14
Computed XRD peak list, a wavelength of 1.5418 Å. Input: a structure optimized by DFT (PBE).
Kinematic intensities with the Lorentz-polarization factor, no thermal factor.

Structure:
```
data_CrCuPd14
_chemical_formula_sum 'Cr1 Cu1 Pd14'
_symmetry_space_group_name_H-M 'P 4/m m m'
_symmetry_Int_Tables_number 123
_symmetry_space_group_name_Hall '-P 4 2'
_cell_length_a 5.568
_cell_length_b 5.568
_cell_length_c 7.821
_cell_angle_alpha 90.00
_cell_angle_beta 90.00
_cell_angle_gamma 90.00
loop_
_atom_site_label
_atom_site_type_symbol
_atom_site_fract_x
_atom_site_fract_y
_atom_site_fract_z
Cr1 Cr 0.000 0.000 0.000
Cu1 Cu 0.500 0.500 0.000
Pd1 Pd 0.000 0.000 0.500
Pd2 Pd 0.000 0.500 0.000
Pd3 Pd 0.000 0.500 0.500
Pd4 Pd 0.249 0.249 0.243
Pd5 Pd 0.500 0.500 0.500
```

Principal peaks in the range 2θ from 5° to 70°, by intensity:
2θ/deg, I/Imax, (hkl)
39.74, 100, 2 0 2
46.11, 33, 2 2 0
67.52, 20, 2 2 4
46.44, 16, 0 0 4
67.25, 10, 4 0 0
25.32, 1, 1 1 1
34.18, 1, 2 0 1
22.58, 1, 1 1 0
11.31, 1, 0 0 1
34.40, 1, 0 0 3
68.85, 1, 2 0 5
32.26, 1, 1 1 2

***

No. 2
# Zn2MoP
Computed XRD peak list, a wavelength of 1.5418 Å. Input: a structure optimized by DFT (PBE).
Kinematic intensities with the Lorentz-polarization factor, no thermal factor.

Structure:
```
data_Zn2MoP
_chemical_formula_sum 'Zn2 Mo1 P1'
_symmetry_space_group_name_H-M 'P 4/m m m'
_symmetry_Int_Tables_number 123
_symmetry_space_group_name_Hall '-P 4 2'
_cell_length_a 3.493
_cell_length_b 3.493
_cell_length_c 4.871
_cell_angle_alpha 90.00
_cell_angle_beta 90.00
_cell_angle_gamma 90.00
loop_
_atom_site_label
_atom_site_type_symbol
_atom_site_fract_x
_atom_site_fract_y
_atom_site_fract_z
Zn1 Zn 0.000 0.000 0.248
Mo1 Mo 0.500 0.500 0.000
P1 P 0.500 0.500 0.500
```

Principal peaks in the range 2θ from 5° to 70°, by intensity:
2θ/deg, I/Imax, (hkl)
45.40, 100, 1 0 2
36.37, 96, 1 1 0
52.39, 32, 2 0 0
18.21, 17, 0 0 1
31.52, 16, 1 0 1
40.97, 9, 1 1 1
62.43, 5, 2 1 1
55.93, 4, 2 0 1
63.15, 3, 1 0 3
69.25, 1, 1 1 3
56.69, 1, 0 0 3
25.50, 1, 1 0 0

***

No. 3
# K2YBrO2
Computed XRD peak list, a wavelength of 1.5418 Å. Input: a structure optimized by DFT (PBE).
Kinematic intensities with the Lorentz-polarization factor, no thermal factor.

Structure:
```
data_K2YBrO2
_chemical_formula_sum 'K2 Y1 Br1 O2'
_symmetry_space_group_name_H-M 'P 4/m m m'
_symmetry_Int_Tables_number 123
_symmetry_space_group_name_Hall '-P 4 2'
_cell_length_a 4.480
_cell_length_b 4.480
_cell_length_c 6.661
_cell_angle_alpha 90.00
_cell_angle_beta 90.00
_cell_angle_gamma 90.00
loop_
_atom_site_label
_atom_site_type_symbol
_atom_site_fract_x
_atom_site_fract_y
_atom_site_fract_z
K1 K 0.000 0.000 0.244
Y1 Y 0.500 0.500 0.000
Br1 Br 0.500 0.500 0.500
O1 O 0.000 0.500 0.000
```

Principal peaks in the range 2θ from 5° to 70°, by intensity:
2θ/deg, I/Imax, (hkl)
33.53, 100, 1 0 2
28.17, 60, 1 1 0
53.36, 49, 2 1 2
40.26, 37, 2 0 0
19.82, 23, 1 0 0
58.25, 12, 2 2 0
63.07, 12, 1 1 4
26.77, 11, 0 0 2
68.91, 11, 3 0 2
>>>

"Pssh." Joey said with a sigh, removing his tall frame from the position he had occupied on the couch for the past 3 hours. "Why don't you go home Steve?"

"Cuz the TV is bigger here and I like the view."

"The view?" Joey inquired, shooting a glance at the drawn curtains.

"Yeah. Blondie's got some nice legs." Steve said his voice taking on a monotonous tone.

"Go home Steve." Joey replied with a shake of his head as he walked in the direction Rachel had disappeared.

"I was just kidding!" Steve's protested, not moving from the couch.

"I heard everything, and I second the motion. Go home Steve." Rachel interjected, brushing past Joe who stood in the hallway and entering the kitchen to grab an apple from the fridge.

"Fine." the Italian grumbled, picking his coat up off the arm of the gray sofa and walking toward the door. "You gonna be home later tonight Joe?" he asked his younger brother.

"Yes. He will be." the blonde said, shooting Joey a pointed look.

Joey just shook his head and laughed, "The boss says no, but she'll change her mind. I'll just talk to you tomorrow afternoon before you go back to Orlando."

The raven haired man shrugged as Rachel nudged him out into the hallway. "Alright. See ya."

As Rach shut the door firmly behind the older Fatone, she turned to Joey who offered her a sheepish grin and outstretched arms. Sighing overdramatically, a brilliant smile began to spread across the pretty blonde's tan features. Her eyes dancing, she allowed herself to be pulled into the warm hug.

Wrapping his muscular arms around the slender blonde, Joey smiled happily. "See, I knew you'd change your mind..." he trailed off as Rachel tilted her face up towards his and their lips met in a soft kiss.


“So, if you don’t mind me asking, what was the urgency?” April inquired, glancing across the table at Jordan over the top of her wine glass before taking a small sip.

“Urgency?“ Jordan’s hazel eyes clouded with confusion for a moment, then cleared as she nodded. “Ohhh. It wasn‘t an emergency or anything like that. Rachie was calling to ask the guys to perform at the VMA’s this year. I guess she figures it’ll be a good idea with the reunion album coming out soon and all.”

The fair haired woman looked slightly surprised. “Wow, that’s great. All the guys agreed to it? I mean…Joey…?” she inquired, referring to the fact that Joey had recently acquired a major lead in a Broadway play that would be opening right around the time of the VMA’s.

Jordan shrugged and continued. “Oh girl, you know Joey‘d do anything Rachel asked him to. He already talked to the director and worked it out so he‘ll join the cast after the VMA‘s in September.” Jordan laughed. “Anyways, from what Justin said, he was the last one to get back to Rach. Apparently all the other guys are really excited about it, I know Justin was absolutely glowing after Rachel proposed the idea to him. He said they’re all meeting back here in Orlando to start rehearsals next week already.” she finished, adjusting the napkin in her lap before taking a drink of her water.

Narrowing her eyes at her friend, April gazed curiously at the water glass Jordan had just set back onto the tabletop. “Are you SURE you don’t want anything to drink? Wine? Champagne?” she offered for the third time since they’d arrived at dinner. “I feel like a lush.” April concluded, shaking her head as she swirled around the remaining alcohol in her glass.

Jordan blushed in the dim light of the restaurant. “I’m fine, I told you. Just because you‘re a raging alcoholic doesn‘t mean I have to be!” she taunted playfully, gesturing to the waiter to refill April’s dwindling glass of white wine.

“So since we’re on the subject of your sister…how are things with her and Joey? Better I hope?” April prodded gently, interrupting briefly to thank the waiter after he finished filling her glass.

Jordan took a bite of her chicken and chewed thoughtfully before replying. “Well…” she started. “Last I heard things were going a little better, but you know Rachel, she’s not going to give up on something she thinks will make her happy.” she concluded, referring to the problems her sister and Joey had been having for some time about his reluctance to commit.

“Well it has been six years.” the blue eyed woman stated dryly, raising an eyebrow at the brunette across from her.

“I know, I know. I hear it from her every time we talk. What do you want me to do about it though?” she retorted, shrugging slightly as she frowned down at her food.

“All I know is that if I were Rachel, I would have spelled it out for him a long ass time ago. I mean, Joey’s a sweetheart and I love him like a brother, but seriously…he’s got to figure out what he wants to do or she’ll move on without him. At least the Rach I know would.” she finished with a pointed glance at the food Jordan was now pushing around on her plate with a fork.

Jordan glanced up, a guilty look flashing across her delicate features as she realized April was staring at her curiously. Quickly placing her fork aside, she folded her arms and rested them on the table as she leaned on them slightly. “I didn’t know you felt so strongly about their situation.” she said with a surprised tone. “But I agree with you…and I do wonder why Rachie hasn’t given him an ultimatum…it’s very unlike her to be so patient. But then again, it is the man she loves…” she stated, pulling the dessert menu towards her and browsing it’s contents.

“Don’t tell me you’re ordering dessert Jordie! You only ate like half of your meal.”

Jordan avoided April’s piercing gaze as she folded the menu back up and pushed it across the table towards her friend. “I wasn’t gonna get anything, just looking. What about you? Want anything? Dinner’s on me.”

April gazed levelly into Jordan’s dark eyes. “Are you SURE there’s nothing going on with you? Seriously Jor, you’ve barely touched your food tonight. I’m a little worried.”

“I’m fine. I mean, I just haven’t been feeling well in the mornings and I dunno…it’ll pass. It’s probably just a viral infection or something.” Jordan stated, dismissing April’s worries with a slight wave of her hand.

Shaking her head, April shot her friend a quizzical look. “Maybe you should go see a doctor…how long have you felt like this?”

“Not long.” Jordan lied, not wanting to tell her friend that she’d been sick every morning for the past month. It was hard enough keeping it from Justin, especially since his studios had recently gone through some remodeling and he’d been spending a little more time at home.

Noticing Jordan shifting uncomfortably in her chair, April paused briefly. “Well if it continues maybe you should make an appointment. I’m sure Justin would want you to as well, you know, just to make sure everything is alright and all.”

Jordan smiled up at her friend as she leaned back in her chair and waited patiently for the waiter to bring their check. Placing a gentle hand on her stomach, she nodded her agreement. “Okay, if it continues…I’ll go to the doctor. But like I said, it’s probably just something that’s going around.” she finished, allowing her thoughts to wander into the past.


Pushing back her damp hair as she gazed into the illuminated mirror above the sink she leaned against, Jordan sighed deeply and took another drink of water before placing the cup aside. She reached for her toothbrush, just to be slapped with another wave of nausea, causing her to quickly bend over the toilet for the second time that morning.

Several minutes later, the brunette had managed to right herself and brush her teeth before wandering weakly back into the bedroom and flopping down onto the large king sized bed. “Ugh.” she muttered, holding back the urge to return to the bathroom she had become all too familiar with for several mornings in a row.

“You okay Jor?” a muffled voice drifted over from the body that lie motionless next to her in the enormous bed.

“How is it that I’ve been sick every single morning for the past week and a half now, and try as I may to pass this virus along to you, you’re still healthy?” Jordan muttered grumpily.

“Good genes I guess.” Justin replied, lifting his head off of the overstuffed pillow to place a gentle kiss on his wife’s forehead. “I’m sure it’ll pass…not many virus’ last more than a couple weeks, right?” he offered helpfully.

“I guess you’re right.” the brunette said, allowing Justin to draw her body in close to his and closing her eyes as she breathed in the faint whisper of cologne on his skin.

“I still say you should go to the doctor though…just to make sure it’s a virus and nothing serious.” he suggested, slight concern evident in his voice.

Jordan’s eyes snapped open and she stared into her husband’s baby blues. “You know I hate doctors J.” she stated bluntly.

“Well if this continues through the weekend, you’re going first thing Monday morning…I worry about you ya know.” he replied softly.

Jordan paused for a moment before nodding her agreement and closing her eyes once more.


As April excused herself from the table, briefly bringing Jordan back to reality, a smile played at the corner of her crimson lips as she remembered how, only three days later, her life had started down a course she hadn’t exactly planned for.


“I’ve got some good news for you Jordan…Justin.” the doctor stated with a grin, gesturing for them to take a seat in his office before he took his own seat behind a large oak desk.

“Please tell me that you’ve got a prescription to make this virus I’ve been stuck with just go away already!” Jordan said with a slight laugh.

The doctor smiled pleasantly at the couple seated in front of him. “Well Jordan, I am sorry to say that there’s nothing I can give you to stop the morning sickness you’ve been experiencing. Fortunately it won’t last more than a couple months…after that you should stop feeling the bouts of nausea that have been plaguing you.”

“A couple months?” Jordan’s eyes were wide and her jaw dropped slightly. “You can’t be serious. What kind of virus is this anyways?” she spoke up, not noticing Justin’s reaction as he sat next to her in shock.

“Morning sickness?” Justin mouthed, a broad smile creeping across his handsome features as he processed what the doctor had just said.

An amused look crossed the middle aged man’s face as he met Jordan’s frantic hazel eyes with his calm green ones. “Jordan…it’s not a virus.” he spoke gently, but was unable to finish due to Jordan interrupting him.

“Then what is it?!” she asked, exasperated.

He laughed slightly, “If you’d let me finish…” he paused, winking at Justin, who still sat mumbling to himself with a goofy grin plastered across his face.

“We’re having a baby.” Justin managed to get out, reaching out a hand and pulling Jordan’s face towards his. His lips moved in and caressed hers gently before he drew back and placed his forehead against hers, gazing into her bright eyes with his own tear-filled blue ones. “We’re having a baby.”

“What? I mean…how? Oh my god. I’m pregnant?” Jordan asked, slightly shocked as she turned away from her husband to look questioningly at the doctor, who smiled and nodded at her from across the desk. Her hand fluttered up to cover her open mouth and salty tears sprang to her eyes as she turned back to Justin, “We’re having a baby! Oh my god. A baby…I should have known…the morning sickness…I’m like three weeks late….oh my god. Justin. A baby.” she spoke haltingly as the tears flowed freely down her tan cheeks like sparkling rivers.


Jordan ran her hand slowly over her stomach, biting her lip as she finished recalling the day her and Justin had found out she was pregnant with Zachary. ‘I can’t believe that was over two years ago now…‘ she thought, smiling as she pictured the rambunctious toddler in her mind.

“Here you go Mrs. Timberlake.” the waiter stated politely, placing the check down onto the table and startling Jordan out of her thoughts. “I’ll take it whenever you’re ready.”

“Oh…thank you Andre.” she replied absently, flashing him a grin as she picked up her purse and began searching for her wallet at the same time as April returned to the table.

== What comes next are materials data, not part of the article ==
(1)
Diffraction record for BaZnSe2O6. The powder XRD pattern is simulated, not measured: it uses a GGA-PBE-relaxed structure and Cu Kα X-rays.
Lines closer than 0.1° are merged.

Most intense lines, 2θ from 10° to 80°, by intensity:
| index | 2theta | d_spacing | Rel. int. |
| --- | --- | --- | --- |
| 1 4 -1 | 26.52 | 3.361 | 100 |
| 2 1 -2 | 32.34 | 2.768 | 41 |
| 1 2 1 | 29.61 | 3.017 | 38 |
| 0 3 2 | 29.31 | 3.047 | 35 |
| 0 6 1 | 34.36 | 2.610 | 31 |
| 2 2 0 | 39.62 | 2.275 | 31 |
| 1 3 -1 | 22.44 | 3.962 | 28 |
| 1 2 0 | 21.58 | 4.118 | 28 |

Structural model:
```
data_BaZnSe2O6
_chemical_formula_sum 'Ba4 Zn4 Se8 O24'
_cell_length_a 5.654
_cell_length_b 16.780
_cell_length_c 8.696
_cell_angle_alpha 90.00
_cell_angle_beta 123.30
_cell_angle_gamma 90.00
_space_group_name_H-M_alt 'P 1 21/c 1'
_space_group_IT_number 14
loop_
_space_group_symop_operation_xyz
'x,y,z'
'-x,-y,-z'
'-x,y+1/2,-z+1/2'
'x,-y+1/2,z+1/2'
loop_
_atom_site_label
_atom_site_fract_x
_atom_site_fract_y
_atom_site_fract_z
Ba1 0.016 0.218 0.150
Zn1 0.255 0.079 0.905
Se1 0.292 0.566 0.170
Se2 0.457 0.632 0.834
O1 0.091 0.649 0.689
O2 0.125 0.655 0.105
O3 0.193 0.532 0.316
O4 0.357 0.089 0.163
O5 0.447 0.218 0.543
O6 0.449 0.151 0.823
```

=====

(2)
Diffraction record for TiP. The powder XRD pattern is simulated, not measured: it uses a GGA-PBE-relaxed structure and Cu Kα X-rays.
Lines closer than 0.1° are merged.

Most intense lines, 2θ from 10° to 80°, by intensity:
| index | 2theta | d_spacing | Rel. int. |
| --- | --- | --- | --- |
| 1 0 0 | 24.27 | 3.667 | 100 |
| 1 1 0 | 42.71 | 2.117 | 78 |
| 1 1 2 | 57.70 | 1.598 | 59 |
| 0 0 2 | 36.91 | 2.435 | 41 |
| 1 0 2 | 44.67 | 2.029 | 34 |
| 1 0 1 | 30.52 | 2.929 | 14 |
| 2 0 0 | 49.73 | 1.833 | 12 |
| 3 0 0 | 78.21 | 1.222 | 12 |

Structural model:
```
data_TiP
_chemical_formula_sum 'Ti2 P2'
_cell_length_a 4.2339
_cell_length_b 4.2339
_cell_length_c 4.8709
_cell_angle_alpha 90.00
_cell_angle_beta 90.00
_cell_angle_gamma 120.00
_space_group_name_H-M_alt 'P 63/m m c'
_space_group_IT_number 194
_space_group_name_Hall '-P 6c 2c'
loop_
_atom_site_label
_atom_site_fract_x

“Ready to go Jor?” April inquired, still gazing at her friend with a watchful eye.

Laying down some cash, Jordan looked up and smiled as she rose from her chair. “Yep, I’m ready.”

Chapter 3